**Data:**
........
Starting from a GGA-PBE-relaxed structure, the powder diffractogram of MgCr3Pb was calculated for a wavelength of 1.5418 Å.

Top 8 peaks for 10° ≤ 2θ ≤ 90°, by intensity:
index  2θ/deg  d [Å]  I/Imax
1 0 0  16.86  5.259  100
2 1 0  38.27  2.352  54
2 0 0  34.09  2.630  52
1 1 0  23.93  3.719  50
2 2 0  48.99  1.860  36
3 0 0  52.17  1.753  27
2 1 1  42.08  2.147  24
4 2 0  81.92  1.176  16

Cell and atoms:
```
data_MgCr3Pb
_chemical_formula_sum 'Mg1 Cr3 Pb1'
_symmetry_space_group_name_H-M 'P m -3 m'
_symmetry_Int_Tables_number 221
_symmetry_space_group_name_Hall '-P 4 2 3'
_cell_length_a 5.259
_cell_length_b 5.259
_cell_length_c 5.259
_cell_angle_alpha 90.00
_cell_angle_beta 90.00
_cell_angle_gamma 90.00
loop_
_atom_site_label
_atom_site_type_symbol
_atom_site_fract_x
_atom_site_fract_y
_atom_site_fract_z
Mg1 Mg 0.000 0.000 0.000
Cr1 Cr 0.000 0.500 0.500
Pb1 Pb 0.500 0.500 0.500
```


Starting from a GGA-PBE-relaxed structure, the powder diffractogram of TlGaSn was calculated for a wavelength of 1.5418 Å.

Top 8 peaks for 10° ≤ 2θ ≤ 90°, by intensity:
index  2θ/deg  d [Å]  I/Imax
1 0 2  30.51  2.930  100
1 2 1  31.13  2.873  64
1 -1 0  30.94  2.890  52
2 1 1  38.26  2.352  39
0 1 2  33.99  2.638  36
0 2 -1  34.71  2.584  35
1 1 2  30.57  2.924  23
1 2 -3  63.15  1.472  16

Cell and atoms:
```
data_TlGaSn
_chemical_formula_sum 'Tl2 Ga2 Sn2'
_symmetry_space_group_name_H-M 'P -1'
_symmetry_Int_Tables_number 2
_symmetry_space_group_name_Hall '-P 1'
_cell_length_a 4.705
_cell_length_b 6.194
_cell_length_c 6.383
_cell_angle_alpha 82.03
_cell_angle_beta 68.51
_cell_angle_gamma 68.02
loop_
_atom_site_label
_atom_site_type_symbol
_atom_site_fract_x
_atom_site_fract_y
_atom_site_fract_z
Tl1 Tl 0.087 0.161 0.165
Ga1 Ga 0.357 0.586 0.201
Sn1 Sn 0.332 0.254 0.579
```


Starting from a GGA-PBE-relaxed structure, the powder diffractogram of Tb3ThRu3 was calculated for a wavelength of 1.5418 Å.

Top 8 peaks for 10° ≤ 2θ ≤ 90°, by intensity:
index  2θ/deg  d [Å]  I/Imax
2 2 0  37.67  2.388  100
2 0 2  36.83  2.441  98
2 1 1  32.23  2.777  67
0 1 2  31.51  2.839  38
2 3 2  57.33  1.607  34
0 2 1  26.10  3.414  29
3 0 0  32.47  2.757  27
0 4 2  53.70  1.707  19

Cell and atoms:
```
data_Tb3ThRu3
_chemical_formula_sum 'Tb9 Th3 Ru9'
_symmetry_space_group_name_H-M 'R 3 m'
_symmetry_Int_Tables_number 160
_symmetry_space_group_name_Hall 'R 3 -2"'
_cell_length_a 9.5512
_cell_length_b 9.5512
_cell_length_c 6.0460
_cell_angle_alpha 90.00
_cell_angle_beta 90.00
_cell_angle_gamma 120.00
loop_
_atom_site_label
_atom_site_type_symbol
_atom_site_fract_x
_atom_site_fract_y
_atom_site_fract_z
Tb1 Tb 0.1969 0.3938 0.0000
Th1 Th 0.0000 0.0000 0.7865
Ru1 Ru 0.1701 0.3402 0.5304
```


Starting from a GGA-PBE-relaxed structure, the powder diffractogram of ErNpZn17 was calculated for a wavelength of 1.5418 Å.

Top 8 peaks for 10° ≤ 2θ ≤ 90°, by intensity:
index  2θ/deg  d [Å]  I/Imax
0 3 3  40.47  2.229  100
2 2 0  40.26  2.240  58
3 0 0  34.68  2.587  42
1 1 3  28.46  3.136  37
0 0 6  41.11  2.196  31
0 2 4  35.76  2.511  25
2 2 6  58.92  1.568  23
6 0 0  73.18  1.293  23

Cell and atoms:
```
data_ErNpZn17
_chemical_formula_sum 'Er3 Np3 Zn51'
_symmetry_space_group_name_H-M 'R 3 m'
_symmetry_Int_Tables_number 160
_symmetry_space_group_name_Hall 'R 3 -2"'
_cell_length_a 8.9599
_cell_length_b 8.9599
_cell_length_c 13.1750
_cell_angle_alpha 90.00
_cell_angle_beta 90.00
_cell_angle_gamma 120.00
loop_
_atom_site_label
_atom_site_type_symbol
_atom_site_fract_x
_atom_site_fract_y
_atom_site_fract_z
Er1 Er 0.0000 0.0000 0.0000
Np1 Np 0.0000 0.0000 0.6707
Zn1 Zn 0.0000 0.0000 0.2349
Zn2 Zn 0.0000 0.0000 0.4355
Zn3 Zn 0.0107 0.5054 0.4865
Zn4 Zn 0.0363 0.3690 0.0021
Zn5 Zn 0.1675 0.3350 0.1694
Zn6 Zn 0.1714 0.3428 0.5170
```


Starting from a GGA-PBE-relaxed structure, the powder diffractogram of Ca9In3O2 was calculated for a wavelength of 1.5418 Å.

Top 8 peaks for 10° ≤ 2θ ≤ 90°, by intensity:
index  2θ/deg  d [Å]  I/Imax
2 0 1  31.19  2.868  100
0 2 2  36.17  2.484  59
........

**Exercise:**
Repeat the calculation results above unchanged.

**Response:**
Starting from a GGA-PBE-relaxed structure, the powder diffractogram of MgCr3Pb was calculated for a wavelength of 1.5418 Å.

Top 8 peaks for 10° ≤ 2θ ≤ 90°, by intensity:
index  2θ/deg  d [Å]  I/Imax
1 0 0  16.86  5.259  100
2 1 0  38.27  2.352  54
2 0 0  34.09  2.630  52
1 1 0  23.93  3.719  50
2 2 0  48.99  1.860  36
3 0 0  52.17  1.753  27
2 1 1  42.08  2.147  24
4 2 0  81.92  1.176  16

Cell and atoms:
```
data_MgCr3Pb
_chemical_formula_sum 'Mg1 Cr3 Pb1'
_symmetry_space_group_name_H-M 'P m -3 m'
_symmetry_Int_Tables_number 221
_symmetry_space_group_name_Hall '-P 4 2 3'
_cell_length_a 5.259
_cell_length_b 5.259
_cell_length_c 5.259
_cell_angle_alpha 90.00
_cell_angle_beta 90.00
_cell_angle_gamma 90.00
loop_
_atom_site_label
_atom_site_type_symbol
_atom_site_fract_x
_atom_site_fract_y
_atom_site_fract_z
Mg1 Mg 0.000 0.000 0.000
Cr1 Cr 0.000 0.500 0.500
Pb1 Pb 0.500 0.500 0.500
```


Starting from a GGA-PBE-relaxed structure, the powder diffractogram of TlGaSn was calculated for a wavelength of 1.5418 Å.

Top 8 peaks for 10° ≤ 2θ ≤ 90°, by intensity:
index  2θ/deg  d [Å]  I/Imax
1 0 2  30.51  2.930  100
1 2 1  31.13  2.873  64
1 -1 0  30.94  2.890  52
2 1 1  38.26  2.352  39
0 1 2  33.99  2.638  36
0 2 -1  34.71  2.584  35
1 1 2  30.57  2.924  23
1 2 -3  63.15  1.472  16

Cell and atoms:
```
data_TlGaSn
_chemical_formula_sum 'Tl2 Ga2 Sn2'
_symmetry_space_group_name_H-M 'P -1'
_symmetry_Int_Tables_number 2
_symmetry_space_group_name_Hall '-P 1'
_cell_length_a 4.705
_cell_length_b 6.194
_cell_length_c 6.383
_cell_angle_alpha 82.03
_cell_angle_beta 68.51
_cell_angle_gamma 68.02
loop_
_atom_site_label
_atom_site_type_symbol
_atom_site_fract_x
_atom_site_fract_y
_atom_site_fract_z
Tl1 Tl 0.087 0.161 0.165
Ga1 Ga 0.357 0.586 0.201
Sn1 Sn 0.332 0.254 0.579
```


Starting from a GGA-PBE-relaxed structure, the powder diffractogram of Tb3ThRu3 was calculated for a wavelength of 1.5418 Å.

Top 8 peaks for 10° ≤ 2θ ≤ 90°, by intensity:
index  2θ/deg  d [Å]  I/Imax
2 2 0  37.67  2.388  100
2 0 2  36.83  2.441  98
2 1 1  32.23  2.777  67
0 1 2  31.51  2.839  38
2 3 2  57.33  1.607  34
0 2 1  26.10  3.414  29
3 0 0  32.47  2.757  27
0 4 2  53.70  1.707  19

Cell and atoms:
```
data_Tb3ThRu3
_chemical_formula_sum 'Tb9 Th3 Ru9'
_symmetry_space_group_name_H-M 'R 3 m'
_symmetry_Int_Tables_number 160
_symmetry_space_group_name_Hall 'R 3 -2"'
_cell_length_a 9.5512
_cell_length_b 9.5512
_cell_length_c 6.0460
_cell_angle_alpha 90.00
_cell_angle_beta 90.00
_cell_angle_gamma 120.00
loop_
_atom_site_label
_atom_site_type_symbol
_atom_site_fract_x
_atom_site_fract_y
_atom_site_fract_z
Tb1 Tb 0.1969 0.3938 0.0000
Th1 Th 0.0000 0.0000 0.7865
Ru1 Ru 0.1701 0.3402 0.5304
```


Starting from a GGA-PBE-relaxed structure, the powder diffractogram of ErNpZn17 was calculated for a wavelength of 1.5418 Å.

Top 8 peaks for 10° ≤ 2θ ≤ 90°, by intensity:
index  2θ/deg  d [Å]  I/Imax
0 3 3  40.47  2.229  100
2 2 0  40.26  2.240  58
3 0 0  34.68  2.587  42
1 1 3  28.46  3.136  37
0 0 6  41.11  2.196  31
0 2 4  35.76  2.511  25
2 2 6  58.92  1.568  23
6 0 0  73.18  1.293  23

Cell and atoms:
```
data_ErNpZn17
_chemical_formula_sum 'Er3 Np3 Zn51'
_symmetry_space_group_name_H-M 'R 3 m'
_symmetry_Int_Tables_number 160
_symmetry_space_group_name_Hall 'R 3 -2"'
_cell_length_a 8.9599
_cell_length_b 8.9599
_cell_length_c 13.1750
_cell_angle_alpha 90.00
_cell_angle_beta 90.00
_cell_angle_gamma 120.00
loop_
_atom_site_label
_atom_site_type_symbol
_atom_site_fract_x
_atom_site_fract_y
_atom_site_fract_z
Er1 Er 0.0000 0.0000 0.0000
Np1 Np 0.0000 0.0000 0.6707
Zn1 Zn 0.0000 0.0000 0.2349
Zn2 Zn 0.0000 0.0000 0.4355
Zn3 Zn 0.0107 0.5054 0.4865
Zn4 Zn 0.0363 0.3690 0.0021
Zn5 Zn 0.1675 0.3350 0.1694
Zn6 Zn 0.1714 0.3428 0.5170
```


Starting from a GGA-PBE-relaxed structure, the powder diffractogram of Ca9In3O2 was calculated for a wavelength of 1.5418 Å.

Top 8 peaks for 10° ≤ 2θ ≤ 90°, by intensity:
index  2θ/deg  d [Å]  I/Imax
2 0 1  31.19  2.868  100
0 2 2  36.17  2.484  59